********
No. 1
A plane-wave DFT calculation with PBE-GGA was carried out for a relaxed Eu2HoI crystal.

Structure (POSCAR):
```
Eu2HoI
1.0
3.811 0.000 0.000
0.000 3.811 0.000
0.000 0.000 10.060
Eu I Ho
2 1 1
direct
0.000 0.000 0.766 Eu
0.000 0.000 0.234 Eu
0.500 0.500 0.000 I
0.500 0.500 0.500 Ho
```

## Properties
Space group: No. 123
Energy relative to the elements, uncorrected: -0.44 eV/atom



No. 2
A plane-wave DFT calculation with PBE-GGA was carried out for a relaxed InSiPb2 crystal.

Structure (POSCAR):
```
InSiPb2
1.0
-2.297 6.342 -2.986
-3.507 6.472 0.476
3.029 3.157 0.941
In Pb Si
1 2 1
direct
0.250 0.250 0.250 In
0.067 0.067 0.932 Pb
0.433 0.433 0.568 Pb
0.750 0.750 0.750 Si
```

## Properties
Space group: No. 12
Energy relative to the elements, uncorrected: 0.27 eV/atom



No. 3
A plane-wave DFT calculation with PBE-GGA was carried out for a relaxed Cu2Ru crystal.

Structure (POSCAR):
```
Cu2Ru
1.0
-0.979 -3.145 -3.112
-0.796 -4.393 -0.773
-7.145 -1.735 -0.368
Cu Ru
4 2
direct
0.994 0.994 0.770 Cu
0.671 0.671 0.911 Cu
0.329 0.329 0.089 Cu
0.006 0.006 0.230 Cu
0.340 0.340 0.570 Ru
0.660 0.660 0.430 Ru
```

## Properties
Space group: No. 12
Relative energy among the computed polymorphs: 0.0 meV per atom
ΔE_f: 0.4 eV/f.u.



No. 4
A plane-wave DFT calculation with PBE-GGA was carried out for a relaxed NbSn3Hg crystal.

Structure (POSCAR):
```
NbSn3Hg
1.0
-1.900 -1.032 -5.008
5.111 -0.536 -1.829
-0.146 -5.329 1.154
Nb Hg Sn
1 1 3
direct
0.500 0.500 0.500 Nb
0.000 0.000 0.000 Hg
0.000 0.500 0.000 Sn
0.000 0.000 0.500 Sn
0.500 0.000 0.000 Sn
```

## Properties
Space group: No. 221
Relative energy among the computed polymorphs: 979.3 meV per atom
ΔE_f: 6.0 eV/f.u.



| no. | energy (eV/atom) |
| --- | --- |
| 1 | -7.11 |
| 2 | -3.63 |
| 3 | -5.68 |
| 4 | -3.27 |

----------

Density functional theory data (PBE) for a relaxed structure of Tb8DyTm3.

Cell lengths 7.6358, 7.6358, 9.3512 Å; angles 114.10, 114.10, 90.00 degrees
Element x y z (fractional)
Tm: 0.2500 0.7500 0.5000
Tm: 0.5000 0.5000 0.0000
Tm: 0.7500 0.2500 0.5000
Tb: 0.3758 0.3758 0.2504
Tb: 0.6242 0.1254 0.7496
Tb: 0.8746 0.3758 0.2504
Tb: 0.8746 0.8746 0.2504
Tb: 0.1254 0.6242 0.7496
Tb: 0.3758 0.8746 0.2504
Tb: 0.1254 0.1254 0.7496
Tb: 0.6242 0.6242 0.7496
Dy: 0.0000 0.0000 0.0000

Results
As for the formation energy: 8.62 eV per formula unit.

----------

Entry 1:
Entry from Alexandria via LeMat-Bulk: a relaxed structure of NaVGa2Ru (GGA-PBE).

Structure (POSCAR):
```
NaVGa2Ru
1.0
5.1966 0.0000 0.0000
0.0000 4.3838 0.0000
0.0000 0.0000 5.1966
Ru Na Ga V
1 1 2 1
Cartesian
0.0000 2.1919 0.0000
2.5983 2.1919 2.5983
0.0000 0.0000 2.5983
2.5983 0.0000 0.0000
0.0000 0.0000 0.0000
```

The formation enthalpy at 0 K comes out at 49.7 kJ per mole of atoms. The calculation puts the magnetization at 0.0 μB/cell. As for the total energy: -23.19 eV per cell. The space group is No. 123.



Entry 2:
Entry from Alexandria via LeMat-Bulk: a relaxed structure of CaTe2 (GGA-PBE).

Structure (POSCAR):
```
CaTe2
1.0
-2.1694 3.5902 -4.3862
2.4731 -5.3597 -1.4114
-14.4988 -7.0575 1.3944
Ca Te
4 8
Cartesian
-12.2657 -8.7974 -1.1343
-6.5638 -2.2854 -2.8231
-1.9294 -0.0295 -3.2688
-7.6313 -6.5415 -1.5800
0.0000 0.0000 0.0000
-7.2494 -3.5287 0.6972
-3.7787 -2.3587 -4.2607
-10.4164 -6.4682 -0.1424
-3.9322 -1.4642 -1.3300
-5.0289 0.3507 -3.5472
-9.1662 -9.1776 -0.8559
-10.2629 -7.3627 -3.0732
```

The calculation puts the magnetization at 0.0 μB/cell. As for the total energy: -39.84 eV per cell. The space group is No. 194.



Entry 3:
Entry from Alexandria via LeMat-Bulk: a relaxed structure of BeMoSN2 (GGA-PBE).

Structure (POSCAR):
```
BeMoSN2
1.0
3.8130 0.0000 0.0000
0.0000 3.8130 0.0000
0.0000 0.0000 5.1287
Be Mo S N
1 1 1 2
Cartesian
1.9065 1.9065 2.5644
0.0000 0.0000 0.0000
0.0000 0.0000 2.5644
0.0000 1.9065 0.0000
1.9065 0.0000 0.0000
```
********
Could you count the lines further above that contain the word "is" and give the number alone?
2